Saturday, July 05, 2008


Allan Jude is a complete and total brat. He is the world's most determined toddler. You can not distract him like you can his brother. If Allan fixes on a course of action, he will perservere until you give up or he achieves his goal.

This morning Griff had the Singing Maraca (go with it) and Allan wanted it. More than any thing, apparently. More than I realized. I noticed that he was stalking his brother (who had it first) but I wasn't paying a lot of attention. Until Allan started crying miserably. Howling really. As if Griffith had whacked him or something. But he hadn't. Because I was Right. There. Allan was putting on. Trying to get his brother in to trouble so that I would give HIM the maraca. No such luck, pal. Of course, less than 3 minutes later, Griff was on to something else and Allan had the maraca. Brat.

Jay had the boys this morning and took them on their usual outing to the farmer's market while I hauled the flotsam and jetsam from my efforts to their various donation locations. Then he hied off for work, leaving me to get the boys to sleep for their naps. This isn't as onerous as it used to be. Griffith has decided that he likes his afternoon nap. Can't wait for it, actually. You ask him if he is ready for his nap and he will say "ba!" and "night-night!" and head for the nursery. He climbs up in your lap, settles down under the blanket, breathes deep, drinks his milk and settles down for 2 to 4 hours. Unless his Monster Brat of a brother interferes. Which he decided to do. Usually the problem is that Allan wants to play with noisy toys, but I had gathered those up. Mind you, he had 3 million other things to play with. None of which was nearly as interesting as his brother and me. So he comes in to the nursery, crawls over, whacks his brother who is nearly asleep. I readjust to keep him away. After a few exploratory swats, he realizes he can't reach Griff. So he yells. Griff stirs. "JUDE!" he yells. Amen, I second. Hand Allan something quiet. Every time I we are about asleep, Allan manages to find a way to intervene. Fine. I plunk his a** in to the crib with quiet toys. He is not interested. He stands up and shakes his head back and forth, jumps up and down, squawks. All of which causes Griff to laugh like a hyena. Then Allan decides to drop every toy in the crib on to the floor, one by one. Every time he does that, Griff says, Oh, no! Fall down!

Time for Plan B.

Take Griff back out and try to rock Allan to sleep. Not happening. He squirms and yells. Griff, for his part is ominously quiet. I can't stand it and go in search of No. 2 son who is playing with a truck. And who has, clearly, pooped his pants.


Dump Allan on to the couch. Go for a diaper. Catch Griff who has decided that diaper change time is the time for the 100 yard dash in our house. Catch him, wrestle him in to a new diaper, wipe the sweat from my brow, gather up Allan, sit back down.

Allan can not be soothed. Griff starts pulling all of the laundry out of the armchair and on to the floor, flinging it about wildly. You.Have.To.Stop.

God love his heart, he was finding Allan's Lamby which was at the bottom of the pile. He found it and brought it over as if to say, here, this will help.

I stink at this mother business.

Lamby didn't help. Allan was still being a pill. Fine. Back to the nursery. Back to rocking. Young man, if you are not asleep by 1:15 I am totally giving you Benadryl. 1:13, he drops off to sleep. No kidding. He will push you to the limit.

Griff climbed up in my lap about 15 seconds after I got Big Al down. He was out in 5 minutes. I got him down, read for about 20 minutes and fell asleep myself. 2 Hours later, we all felt human again.

Dad came home and we all had dinner and fun time. Baths, book and time to go to bed. Griff is pretty good about getting in his crib and entertaining himself until he falls asleep. Allan, on the other hand, was quite a pill. Again. He would not go to sleep. He flipped, flopped, squirmed and yelled. Finally, I just put him in his crib to let him sort it out. He didn't like that. Not one little bit. He squawled and stood up and I put him back down. Sat down. Griff got up and jumped up and down, yelling. Put him down. Just in time for Allan to repeat.

After about 10 minutes, though, Allan decided it was too much effort and went to sleep. Griff, without an audience, laid back down and started his evening ritual which includes a lot of flipping and flopping and reciting everything he knows how to say:

No, no, no, Daddy.
No, no, no, Momma.
NO, JUDE! (heh.heh.heh.)
Two, three, two, three. (I don't know what happened to one.)
Beep, beep, beep, beep, beep, beep, ad nauseum....

More to report, but it is nearly eleven and I want to read some before I sleep.

Missing card reader

I can't find the card reader so no new pictures tonight. Thought I would go ahead with a little update, though, and then try to add pictures later.

The 3rd of July, we went to visit Greg and Alice out at the farm. Heather met us out there, too, and we ordered pizza and drank wine and generally chilled in preparation for the race on the 4th. Greg and Alice have an entire menagerie -- dogs, horses, who knows what else (they used to have a very grumpy minature donkey). The boys had a great time. Allan absolutely adores the horses. Can not get enough of them. Griff is a little more reticent, but he gets in to it, too, eventually. We should have some good pictures of them.

(What comes next are records of molecules, not part of the article)
=====
# 1
ORCA calculation (wB97M-V/def2-TZVPD) on one molecule with the formula C6H11N in a non-equilibrium geometry.

Geometry as XYZ:
```
18
Properties=species:S:1:pos:R:3
C 1.700 -2.538 -1.526
C 1.464 -1.038 -1.476
C 1.377 -0.395 -0.318
C 0.638 0.844 -0.015
C -0.418 0.828 0.801
N -1.174 2.036 1.132
C -2.579 1.699 1.266
H 2.533 -2.748 -0.839
H 2.163 -2.816 -2.469
H 0.884 -3.188 -1.229
H 1.066 -0.583 -2.379
H 1.857 -0.848 0.552
H 0.632 1.615 -0.787
H -0.546 0.094 1.602
H -0.670 2.388 1.927
H -3.014 1.779 0.262
H -2.699 0.638 1.528
H -3.215 2.233 1.968
```

As for the net charge: 0. The calculation puts the orbital gap at 9.7 eV. The SMILES is C/C=C/C=C/NC. Its HOMO energy is -8.55 eV.

The net atomic charges from Mulliken, expressed in e, are: number 1, C, carries -1.049; number 2, C, carries 0.021; number 3, C, carries -0.267; number 4, C, carries -0.550; number 5, C, carries -0.309; number 6, N, carries -0.389; number 7, C, carries -0.754; number 8, H, carries 0.303; number 9, H, carries 0.333; number 10, H, carries 0.261; number 11, H, carries 0.324; number 12, H, carries 0.296; number 13, H, carries 0.328; number 14, H, carries 0.324; number 15, H, carries 0.268; number 16, H, carries 0.246; number 17, H, carries 0.278; number 18, H, carries 0.336

***

# 2
ORCA calculation (wB97M-V/def2-TZVPD) on C28H38F4N5O4Ru as an isolated structure in a non-equilibrium geometry.

Geometry as XYZ:
```
80
Properties=species:S:1:pos:R:3
Ru 0.886 -0.464 -1.077
C 0.949 1.569 -3.513
N 1.090 1.490 -2.054
C 0.189 2.465 -1.418
C 2.493 1.770 -1.647
C 3.425 0.626 -2.044
N 2.712 -0.619 -1.805
C 3.194 -1.831 -2.191
C 2.340 -2.953 -2.128
F 1.025 -2.741 -1.785
C 2.739 -4.230 -2.446
F 1.855 -5.227 -2.350
C 4.027 -4.486 -2.871
C 4.881 -3.406 -2.980
F 6.129 -3.601 -3.409
C 4.493 -2.121 -2.655
F 5.399 -1.133 -2.776
H 1.194 2.581 -3.855
H -0.077 1.344 -3.798
H 1.611 0.858 -4.002
H 0.466 3.486 -1.702
H 0.245 2.347 -0.337
H -0.833 2.270 -1.743
H 2.493 1.869 -0.563
H 2.835 2.714 -2.086
H 4.338 0.694 -1.446
H 3.725 0.710 -3.093
H 4.345 -5.486 -3.125
O 1.365 -1.652 0.837
C 1.451 -0.642 1.557
O 1.570 0.537 1.128
C 1.394 -0.792 3.091
N 1.141 0.580 3.639
C 2.061 0.838 4.787
C 2.685 -0.522 5.090
C 2.729 -1.201 3.720
H 0.597 -1.484 3.357
H 0.140 0.776 3.841
H 1.354 1.159 2.797
H 1.510 1.244 5.631
H 2.817 1.557 4.476
H 2.043 -1.088 5.767
H 3.666 -0.428 5.550
H 2.831 -2.281 3.782
H 3.557 -0.812 3.123
O -1.695 1.585 3.631
C -2.038 1.668 2.467
O -1.275 1.213 1.494
C -3.357 2.287 2.006
N -3.420 2.218 0.535
C -3.321 3.595 0.023
C -3.920 4.476 1.115
C -3.455 3.784 2.401
H -4.160 1.712 2.470
H -4.282 1.787 0.227
H -1.812 1.323 0.665
H -3.828 3.684 -0.936
H -2.265 3.846 -0.125
H -5.009 4.459 1.051
H -3.589 5.511 1.055
H -4.151 3.935 3.222
H -2.480 4.161 2.714
C -1.789 -2.168 1.359
C -2.486 -2.207 0.032
C -3.562 -3.042 -0.176
C -4.183 -3.135 -1.417
C -3.696 -2.400 -2.494
C -2.620 -1.555 -2.351
C -2.055 -0.807 -3.522
C -1.986 -1.406 -1.061
N -1.012 -0.526 -0.898
H -2.458 -2.488 2.158
=====

Alice put on some vintage Madonna to see Griff bust a move and no one was disappointed. I thought that she and Heather were going to wet themselves watching Griffith putting on his best moves. Allan wasn't having any of it -- he was too busy exploring the house which has a sunken living room and stairs that are just Allan-sized for climbing up and down.

Griff hadn't taken a nap, though, so by the time we got home, he was completely worn out. Actually Jay is doing some work for G and A so he came separately and about ten minutes behind us. Ten LONG, LONG minutes. Griff howled like a banshee for his daddy, daddy, daddy. Inconsolable. When Jay finally turned up, the relief was palpable -- for Griff and Momma.

Jay and I were supposed to run the annual 4th of July 10K at 7:30 the next morning. The forecast was 50/50 on thunderstorms, but I couldn't hear anything during the night. I was up at 6 and got ready. The babysitter was to arrive at 6:45. At 6:20, Jay got up and I realized that it was raining. Ever so gently, but persistently. Do we call Ana and tell her not to come ?? Let her come and we'll see what happens.

What happened was that it was still raining at 7. Jay elected to walk down to the race start and run. I elected to go in to the basement and clean. Anything sounded better than walking a mile in the rain, running 6 miles and walking a mile back.

Dad did great. Ran it in less than 56 minutes. Then he called to see if we would come to Jim and Montell's and have breakfast. And, oh, yes, by the way -- could we bring a shirt and shorts and underwear and shoes, too? And drive him home? Sure.

Still, it was a good effort for the whole team. I got a lot done in two hours in the basement (took 6 large garbage bags out, 8-10 white garbage bags to the Salvation Army along with a car load of babygear that we can't use, and a box of toys for the children's hospital. And a pile of cardboard for recycling.

Dad is crazy busy with work so we got home, got the boys fed and he headed out to work. The boys took decent naps (as did I) and we got ready for company for dinner.

[Molecular data from another source follow]
┌──
Entry 1:
The following is a DFT calculation (ωB97M-V/def2-TZVPD) of C23H52LuP4S as an isolated structure.

energy	-3905.73435	Eh
LUMO level	-10.21	eV
HOMO-LUMO gap	0.192	Ha

```
! wB97M-V def2-TZVPD RIJCOSX def2/J DEFGRID3
* xyz 3 1
Lu -0.196 0.281 -0.311
P 2.534 1.433 1.008
P -2.025 2.159 0.219
P 0.698 1.955 -2.327
H 0.719 -4.989 1.152
C 1.045 -4.540 0.202
C 2.290 -4.041 0.100
H 2.989 -4.120 0.950
C 3.104 0.649 2.516
C 2.081 3.112 1.410
C 3.886 1.454 -0.157
C -3.567 1.849 -0.756
C -2.843 2.418 1.843
C -1.816 3.930 -0.237
C 1.973 1.087 -3.338
C 1.398 3.653 -2.248
C -0.624 2.220 -3.588
H 0.351 -4.586 -0.646
H 2.749 -3.725 -0.850
H 3.296 -0.421 2.369
H 2.359 0.749 3.314
H 4.032 1.166 2.792
H 1.167 3.184 2.012
H 1.953 3.738 0.520
H 2.931 3.494 2.005
H 3.965 0.516 -0.718
H 4.798 1.588 0.437
H 3.769 2.265 -0.881
H -4.274 2.677 -0.587
H -4.028 0.910 -0.423
H -3.337 1.762 -1.827
H -3.592 3.216 1.736
H -2.102 2.731 2.587
H -3.338 1.498 2.175
H -2.718 4.479 0.079
H -1.686 4.060 -1.319
H -0.949 4.351 0.288
H 1.978 1.519 -4.352
H 1.721 0.015 -3.399
H 2.965 1.198 -2.874
H 1.470 4.059 -3.270
H 2.392 3.642 -1.782
H 0.733 4.296 -1.654
H -0.137 2.441 -4.549
H -1.295 3.039 -3.284
H -1.225 1.308 -3.708
C -1.268 -1.746 -3.224
C -2.040 -1.655 -4.407
C -1.691 -2.372 -5.553
C -0.569 -3.206 -5.530
C 0.196 -3.289 -4.356
C -0.133 -2.577 -3.205
S -1.888 -0.915 -1.812
H 1.656 0.440 0.531
H -2.925 -1.013 -4.356
H -2.277 -2.244 -6.471
H -0.297 -3.748 -6.442
H 1.087 -3.909 -4.367
H 0.417 -2.675 -2.259
C -2.303 -2.790 1.387
C -2.142 -1.613 2.353
P -0.490 -0.777 2.249
C -0.580 0.432 3.668
C -0.107 -0.027 5.044
C 0.667 -2.135 2.739
C 0.189 -3.094 3.836
H -2.326 -2.461 0.338
H -3.257 -3.302 1.583
H -1.502 -3.535 1.485
H -2.907 -0.838 2.166
H -2.267 -1.937 3.398
H -0.014 1.326 3.354
H -1.632 0.744 3.729
H 0.922 -0.407 5.039
H -0.138 0.826 5.738
H -0.762 -0.792 5.478
H 0.920 -2.687 1.814
H 1.596 -1.650 3.071
H -0.793 -3.529 3.605
H 0.925 -3.907 3.927
H 0.146 -2.616 4.825
*
```

Entry 2:
The following is a DFT calculation (ωB97M-V/def2-TZVPD) of a single C5H9N3 molecule.

energy	-360.09627	Eh
LUMO level	0.91	eV
structure (SMILES)	CC1=CCN=C1NN
HOMO-LUMO gap	0.345	Ha

```
! wB97M-V def2-TZVPD RIJCOSX def2/J DEFGRID3
* xyz 0 1
C -0.525 1.991 0.112
C 0.314 0.794 -0.061
C 1.699 0.775 -0.206
C 2.194 -0.572 0.132
C -0.066 -0.577 0.033
H -1.406 2.025 -0.687
H -0.909 2.061 1.133
H 0.119 2.885 0.047
H 2.414 1.570 -0.426
H 2.922 -0.806 -0.751
H 2.749 -0.835 1.118
H -1.378 -1.963 0.238
H -3.022 -0.523 0.848
H -2.986 -0.394 -0.792
N 0.916 -1.410 0.056
N -1.357 -1.057 -0.217
N -2.445 -0.174 0.049
*
```

Entry 3:
The following is a DFT calculation (ωB97M-V/def2-TZVPD) of a 9-piece molecular cluster, C44H73BBrN4O31P2S overall.

energy	-7951.11475	Eh
LUMO level	-4.20	eV
HOMO-LUMO gap	0.245	Ha

```
! wB97M-V def2-TZVPD RIJCOSX def2/J DEFGRID3
* xyz 1 1
C 1.750 -5.449 0.767
C 0.166 -5.410 0.300
C 0.123 -4.534 -1.113
O 0.320 -3.086 -0.890
C -0.970 -2.404 -1.250
N -1.055 -0.969 -0.746
└──
[So much for the molecular data]

Jim and Montell came over as did Markus, Hannah, Alan, Michele and (eventually) Matt and Nicole. The weather turned stormy for our grilling but covered deck served us well. We stayed out all evening long. At first the boys were daunted by the weather, but they both eventually got over it.

Jim kept encouraging Griff to take off out in to the rain which he did. What Jim didn't expect was that Allan was going to insist on going, too -- with Jim's help. Serves him right.

The boys ended up completely wet, filthy and exhausted. So much so that they hardly stirred all night despite the fireworks. (Jay kept saying that we should expect people to put off fireworks in the parking lot across the street. I finally pointed out that it was usually US doing that and, sure enough, no one filled the void.)

So, all in all, a good 4th of July. Not as wild and woolly as some, but we aren't complaining.

Thursday, July 03, 2008

Gimme Three Steps...

Guess what big boy took three whole steps unassisted this morning???

Miss Julie got Big Al distracted enough that he didn't realize that he wasn't holding on to anything (other than a block). As soon as he realized it, of course, he sat down, but, without question, he did it and can do it. He wouldn't repeat the effort, though, he knew what we were trying to do and refused to be duped again (fool me once....). He kept sticking his butt out behind him to try to stay in contact with Julie while grasping for the toys. Or he would go stiff as a plank and lean way back. Brat. Smart, walking brat, though.

Wednesday, July 02, 2008

Let the Wild Rumpus Start!

Lots of new pictures. Trying to clear off the card before the long holiday weekend.

We will have to get some video of Griffith dancing. He kicks and stomps and throws his arms up in the air. He looks for all the world like Max in Where the Wild Things Are.

What is really funny is that the music he was dancing to was some classical whatever on the local NPR station. It filled him with the spirit, though, that's what counts.

Allan is far more sedate. He likes to sit and circle round and round in time to the music. He's too cool to do some mad Highland fling.

So you think you can dance?

You haven't seen anything until you've seen Griffith.

Spin around and stomp!

Stick your bottom out!

Chicks really dig that!

Take one step back.

Wheee !!!!!!

Swing 'em wide, Griff!


In motion

A blur of motion

On the way up....

Feeling it all over

The Dance Machine


Worn out

Allan is exhausted with the whole process.

Hibiscus One


Stacking 'em high.

Working on our toddler skills. These a little easier to stack because they have grippers on them.

Does that help, Allan?

Allan sticking his tongue out to help steady the blocks.


I must have taken 20 pictures trying to get one of Allan sticking his tongue out while he was working with the blocks. It is a wonder the kid could see anything for all the flashes.

Oh, no! Fall down !!!

We have an epidemic of falling down at our house. Somehow Griffith's trucks keep falling down in to the bushes. Possibly helped by the fact that he keeps flinging them there.


Flowing locks (I)

Allan catching the breeze.

Flowing locks

Allan's hair is getting long again, but he really liked the way the breeze felt, blowing his hair back.

Traffic jam

What is it about boys and smashing cars and trucks together? It is genetic.


Allan gets around all over the place. He just has to have something to hold on to.

Cruising (II)

I wonder if the whole thing will fit ??

An experiment we try over and over.

I think that I shall never see

a poem as lovely as a cheesy poof to me.....

Poof in profile

Cheesy poof number whatever

Reading time.

The boys love to read -- especially first thing in the morning.
Look at how brown Griffith's legs look.

Working on our stacking skills

Stacking is apparently a very important toddler skill so we have been working on Big Al's hand/eye coordination.

Story time

Bath, bottle, book, bed.

Different responses

Allan -- concerned.
Griffith - delighted.

Sidelong glance

What's Daddy saying?

I'm voting for "swishy-swoshy" from We're Going on a Bear Hunt, but it really doesn't look like that to me either.

Listening very intently

The boys at bedtime with Da.
Griff with his bottle (yes, we know he's too old for it.) Allan with Lamby.

Maybe not babysitter material

I'm not sure what Tyler is doing right here, but I don't think that it is covered in Babysitting 101.

Tyler and Big Al

A picture from Hannah (thanks for saving me from T's wrath!)